........
No. 1
{"formula": "C24H16F2N4O2S2", "method": "ωB97M-V/def2-TZVPD", "species": ["C", "C", "F", "C", "N", "N", "C", "C", "C", "C", "C", "C", "O", "C", "C", "C", "S", "C", "C", "C", "C", "C", "C", "C", "N", "C", "C", "F", "C", "C", "O", "N", "C", "S", "H", "H", "H", "H", "H", "H", "H", "H", "H", "H", "H", "H", "H", "H", "H", "H"], "positions_angstrom": [[-1.91648, 9.39613, 4.10634], [-1.20012, 8.36364, 4.93810], [0.01395, 8.81534, 5.35226], [-1.01083, 7.05132, 4.20743], [-1.66740, 5.94147, 4.53209], [-1.19459, 4.93961, 3.72927], [-1.42211, 3.57888, 3.70635], [-0.69826, 3.15838, 2.63673], [-0.78968, 1.83648, 2.19794], [-0.35551, 1.40190, 0.96556], [-0.86307, 0.05590, 0.78730], [-0.76292, -0.90799, -0.23924], [-0.01135, -0.55366, -1.35886], [0.01978, -1.42140, -2.52569], [1.05491, -2.51718, -2.45093], [2.08523, -2.59785, -1.50598], [3.13879, -3.91854, -1.86746], [2.10778, -4.32500, -3.19243], [2.29754, -5.48460, -4.05573], [3.29868, -6.45627, -3.79196], [3.36397, -7.63319, -4.59068], [2.54596, -7.78858, -5.69580], [1.61575, -6.80674, -6.03286], [1.48997, -5.66592, -5.23573], [1.07754, -3.51567, -3.38653], [-1.48399, -2.11349, -0.04014], [-2.15265, -2.36361, 1.16275], [-2.82489, -3.50601, 1.34927], [-2.13770, -1.44185, 2.18616], [-1.51691, -0.22413, 1.97698], [-1.49343, 0.83015, 2.85540], [0.01834, 4.21210, 2.00963], [-0.28654, 5.22325, 2.76837], [0.19212, 6.90336, 2.88728], [-2.90569, 9.03493, 3.93605], [-1.42121, 9.51730, 3.12017], [-1.96720, 10.36320, 4.61661], [-1.80217, 8.15773, 5.81909], [-2.15240, 2.99859, 4.31125], [0.20569, 1.94562, 0.21942], [0.23417, -0.83515, -3.41590], [-0.96348, -1.84023, -2.66547], [2.18030, -1.95644, -0.64450], [3.99269, -6.35768, -2.95690], [4.03533, -8.43768, -4.34096], [2.57536, -8.69517, -6.28124], [0.92465, -6.90427, -6.88437], [0.77042, -4.92098, -5.55399], [-1.56721, -2.87509, -0.78852], [-2.67112, -1.66092, 3.12409]], "forces_ev_per_a": [[0.976, 0.400, -0.688], [-1.141, -0.623, -0.272], [0.964, 0.340, 0.142], [-0.458, -1.742, 0.200], [1.782, 1.887, -0.671], [-0.648, 0.132, 1.131], [-1.048, 0.094, 0.417], [-0.051, 1.614, 1.047], [1.085, -2.434, -3.521], [-0.405, -0.314, 0.475], [0.973, 0.660, -0.078], [-0.652, -0.608, -0.057], [-0.306, -0.612, 0.081], [-0.103, -0.214, 0.964], [1.672, -0.432, 1.514], [-1.254, 0.215, -1.054], [-0.953, 0.457, -0.014], [-1.028, 0.684, -0.529], [0.625, -1.382, -1.490], [-0.931, -0.592, -0.810], [-0.149, 1.183, 0.423], [-0.470, 0.058, 0.000], [-0.237, 0.713, 0.453], [0.696, -0.311, 0.627], [0.737, -0.077, 0.467], [0.527, 0.521, -0.385], [0.735, 1.425, 0.054], [0.057, -0.173, -0.259], [-1.032, -0.320, 1.490], [-0.282, -0.614, -0.270], [0.312, 0.476, -0.551], [-0.247, -1.232, 0.736], [0.153, 0.548, -0.545], [-0.895, -0.371, 0.599], [-0.822, -0.164, -0.201], [-0.249, 0.068, 0.562], [0.081, -0.229, -0.035], [-0.007, -0.202, 0.217], [0.808, 0.963, -0.449], [-0.094, 0.196, 0.303], [0.028, 0.491, 0.245], [-0.403, -0.305, -0.129], [0.285, -0.019, -0.051], [-0.295, 0.040, -0.095], [0.287, 0.055, 0.135], [0.170, -0.110, -0.025], [0.584, -0.090, 0.380], [0.061, 0.082, 0.434], [0.243, -0.247, -0.393], [0.321, 0.113, -0.524]], "e_tot_ev": -62306.8897, "smiles": "C[C@H](F)c1nn2cc(-c3cc4c(OCc5csc(-c6ccccc6)n5)cc(F)cc4o3)nc2s1", "orbital_gap_ha": 0.283, "de_lowest_kj_mol": 0.0, "e_lumo_ev": 0.10}

***

No. 2
........

It remains to filter the entries above: keep the lines with the word "formula".

{"formula": "C24H16F2N4O2S2", "method": "ωB97M-V/def2-TZVPD", "species": ["C", "C", "F", "C", "N", "N", "C", "C", "C", "C", "C", "C", "O", "C", "C", "C", "S", "C", "C", "C", "C", "C", "C", "C", "N", "C", "C", "F", "C", "C", "O", "N", "C", "S", "H", "H", "H", "H", "H", "H", "H", "H", "H", "H", "H", "H", "H", "H", "H", "H"], "positions_angstrom": [[-1.91648, 9.39613, 4.10634], [-1.20012, 8.36364, 4.93810], [0.01395, 8.81534, 5.35226], [-1.01083, 7.05132, 4.20743], [-1.66740, 5.94147, 4.53209], [-1.19459, 4.93961, 3.72927], [-1.42211, 3.57888, 3.70635], [-0.69826, 3.15838, 2.63673], [-0.78968, 1.83648, 2.19794], [-0.35551, 1.40190, 0.96556], [-0.86307, 0.05590, 0.78730], [-0.76292, -0.90799, -0.23924], [-0.01135, -0.55366, -1.35886], [0.01978, -1.42140, -2.52569], [1.05491, -2.51718, -2.45093], [2.08523, -2.59785, -1.50598], [3.13879, -3.91854, -1.86746], [2.10778, -4.32500, -3.19243], [2.29754, -5.48460, -4.05573], [3.29868, -6.45627, -3.79196], [3.36397, -7.63319, -4.59068], [2.54596, -7.78858, -5.69580], [1.61575, -6.80674, -6.03286], [1.48997, -5.66592, -5.23573], [1.07754, -3.51567, -3.38653], [-1.48399, -2.11349, -0.04014], [-2.15265, -2.36361, 1.16275], [-2.82489, -3.50601, 1.34927], [-2.13770, -1.44185, 2.18616], [-1.51691, -0.22413, 1.97698], [-1.49343, 0.83015, 2.85540], [0.01834, 4.21210, 2.00963], [-0.28654, 5.22325, 2.76837], [0.19212, 6.90336, 2.88728], [-2.90569, 9.03493, 3.93605], [-1.42121, 9.51730, 3.12017], [-1.96720, 10.36320, 4.61661], [-1.80217, 8.15773, 5.81909], [-2.15240, 2.99859, 4.31125], [0.20569, 1.94562, 0.21942], [0.23417, -0.83515, -3.41590], [-0.96348, -1.84023, -2.66547], [2.18030, -1.95644, -0.64450], [3.99269, -6.35768, -2.95690], [4.03533, -8.43768, -4.34096], [2.57536, -8.69517, -6.28124], [0.92465, -6.90427, -6.88437], [0.77042, -4.92098, -5.55399], [-1.56721, -2.87509, -0.78852], [-2.67112, -1.66092, 3.12409]], "forces_ev_per_a": [[0.976, 0.400, -0.688], [-1.141, -0.623, -0.272], [0.964, 0.340, 0.142], [-0.458, -1.742, 0.200], [1.782, 1.887, -0.671], [-0.648, 0.132, 1.131], [-1.048, 0.094, 0.417], [-0.051, 1.614, 1.047], [1.085, -2.434, -3.521], [-0.405, -0.314, 0.475], [0.973, 0.660, -0.078], [-0.652, -0.608, -0.057], [-0.306, -0.612, 0.081], [-0.103, -0.214, 0.964], [1.672, -0.432, 1.514], [-1.254, 0.215, -1.054], [-0.953, 0.457, -0.014], [-1.028, 0.684, -0.529], [0.625, -1.382, -1.490], [-0.931, -0.592, -0.810], [-0.149, 1.183, 0.423], [-0.470, 0.058, 0.000], [-0.237, 0.713, 0.453], [0.696, -0.311, 0.627], [0.737, -0.077, 0.467], [0.527, 0.521, -0.385], [0.735, 1.425, 0.054], [0.057, -0.173, -0.259], [-1.032, -0.320, 1.490], [-0.282, -0.614, -0.270], [0.312, 0.476, -0.551], [-0.247, -1.232, 0.736], [0.153, 0.548, -0.545], [-0.895, -0.371, 0.599], [-0.822, -0.164, -0.201], [-0.249, 0.068, 0.562], [0.081, -0.229, -0.035], [-0.007, -0.202, 0.217], [0.808, 0.963, -0.449], [-0.094, 0.196, 0.303], [0.028, 0.491, 0.245], [-0.403, -0.305, -0.129], [0.285, -0.019, -0.051], [-0.295, 0.040, -0.095], [0.287, 0.055, 0.135], [0.170, -0.110, -0.025], [0.584, -0.090, 0.380], [0.061, 0.082, 0.434], [0.243, -0.247, -0.393], [0.321, 0.113, -0.524]], "e_tot_ev": -62306.8897, "smiles": "C[C@H](F)c1nn2cc(-c3cc4c(OCc5csc(-c6ccccc6)n5)cc(F)cc4o3)nc2s1", "orbital_gap_ha": 0.283, "de_lowest_kj_mol": 0.0, "e_lumo_ev": 0.10}